/*
[1]
Computed, not measured: a gas-phase ion, C8H19N3 (charge +2), with wB97M-V/def2-TZVPD.

For the total energy, the calculation gives -479.68022 hartree. As for the net charge: +2. As for the multiplicity: 3. The highest occupied orbital energy (alpha / beta) is -17.96 / -18.87 eV. Its energy relative to the best compared isomer or geometry (same formula, charge and spin) is 0.252 eV.

Last column: Mulliken spin population.
Cartesian coordinates (Å):
C: 0.369 1.673 0.363  0.0178
C: -1.904 -1.844 -1.595  0.0324
C: -0.027 -0.294 -2.158  0.0039
C: 0.334 -2.153 -0.516  0.0093
C: 0.089 -0.948 2.783  0.0563
C: 1.813 3.612 0.377  -0.0022
C: -1.207 -0.228 0.089  0.0626
C: -0.668 -1.131 -1.050  0.0073
N: 0.408 0.161 2.036  1.2385
N: 1.260 2.418 0.915  0.1696
N: -0.115 0.517 0.947  0.2074
H: -0.044 1.946 -0.603  -0.0117
H: -2.317 -2.552 -0.879  -0.0001
H: -2.688 -1.143 -1.876  -0.0014
H: -1.638 -2.410 -2.487  0.0068
H: 0.920 0.139 -1.840  -0.0045
H: 0.184 -0.931 -3.014  0.0002
H: -0.698 0.489 -2.506  -0.0006
H: 0.620 -2.824 -1.322  -0.0007
H: -0.097 -2.767 0.271  0.0015
H: 1.246 -1.681 -0.153  -0.0016
H: -0.028 -0.615 3.827  0.0477
H: 1.004 -1.558 2.868  0.0505
H: -0.748 -1.566 2.456  0.0741
H: 1.433 3.828 -0.622  0.0024
H: 2.905 3.535 0.345  0.0084
H: 1.595 4.458 1.038  0.0095
H: -1.786 -0.825 0.791  0.0063
H: -1.838 0.559 -0.317  0.0098
H: 1.623 2.133 1.833  0.0005

=====

[2]
Computed, not measured: a single C8H19N3O molecule, with wB97M-V/def2-TZVPD.

For the total energy, the calculation gives -555.65623 hartree. The highest occupied orbital energy is -8.34 eV. Its energy relative to the best compared isomer or geometry (same formula, charge and spin) is 1.139 eV.

Last column: Mulliken charge in e.
Cartesian coordinates (Å):
C: 0.921 -1.837 0.372  -0.5259
C: -0.421 -1.980 1.061  -0.3400
C: -2.303 -1.607 -0.507  -0.9062
C: -1.652 -0.454 -1.269  -0.5219
C: -0.638 1.688 -1.088  -0.6973
C: -0.087 2.801 -0.225  -0.8135
C: 1.230 1.344 1.220  -0.4718
C: 2.073 0.268 0.457  -0.4690
H: 1.262 -2.864 0.163  0.3479
H: 0.701 -1.469 -0.672  0.1034
H: -0.766 -0.960 1.428  0.0874
H: -0.261 -2.642 1.945  0.3374
H: -0.810 -2.959 -0.647  0.2873
H: -2.895 -2.221 -1.230  0.3413
H: -2.964 -1.299 0.318  0.3433
H: -0.870 -0.803 -1.999  0.3820
H: -2.426 0.090 -1.847  0.4901
H: -1.499 2.022 -1.672  0.5381
H: 0.094 1.435 -1.868  0.3563
H: -0.802 3.053 0.555  0.3512
H: 0.014 3.715 -0.861  0.4122
H: 1.757 3.287 0.742  0.2319
H: 0.183 1.017 1.413  -0.0193
H: 1.668 1.565 2.203  0.4815
H: 3.150 0.615 0.439  0.3906
H: 1.782 0.197 -0.588  0.1864
H: 2.811 -1.480 1.047  0.2780
N: -1.344 -2.520 0.092  -0.3528
N: 1.221 2.523 0.361  -0.3019
N: 1.912 -1.005 1.073  -0.3389
O: -1.044 0.481 -0.416  -0.1880

=====

[3]
Computed, not measured: 2 unconnected molecules or ions with the total composition C8H19N4O8P2, with wB97M-V/def2-TZVPD.

For the total energy, the calculation gives -1819.71247 hartree. As for the net charge: +1. The highest occupied orbital energy is -12.79 eV. Its energy relative to the best compared isomer or geometry (same formula, charge and spin) is 0.000 eV.

Last column: Mulliken charge in e.
Cartesian coordinates (Å):
C: -3.994 -1.819 1.171  -1.0752
C: -3.071 -2.987 0.761  -0.8577
P: -1.789 -2.523 -0.452  0.1050
C: -0.750 -4.044 -0.484  -0.9860
N: -0.712 -1.449 0.545  0.3347
C: -0.513 -1.046 1.827  0.4555
N: -1.168 -1.557 2.883  -0.0977
P: -1.201 -0.922 4.495  0.7267
O: -2.242 0.069 4.636  -0.5641
O: 0.260 -0.424 4.786  -0.4495
O: -1.362 -2.257 5.341  -0.5375
N: 0.384 -0.059 1.938  -0.5006
C: 0.764 0.188 0.701  0.3857
O: 1.666 1.048 0.288  -0.3989
N: 0.148 -0.608 -0.166  0.0968
O: 0.225 -0.653 -1.508  -0.3870
H: -3.602 -0.850 0.855  0.3315
H: -4.136 -1.772 2.249  0.3276
H: -4.973 -1.927 0.712  0.3355
H: -3.634 -3.733 0.194  0.4576
H: -2.682 -3.552 1.611  0.5602
H: -1.300 -4.883 -0.058  0.3761
H: -0.527 -4.282 -1.522  0.3578
H: 0.184 -3.924 0.064  0.3037
H: -1.874 -2.244 2.683  0.2370
H: 0.836 -1.064 5.220  0.3591
H: -1.179 -3.093 4.903  0.3436
*/

Could you transcribe everything above character by character?

[1]
Computed, not measured: a gas-phase ion, C8H19N3 (charge +2), with wB97M-V/def2-TZVPD.

For the total energy, the calculation gives -479.68022 hartree. As for the net charge: +2. As for the multiplicity: 3. The highest occupied orbital energy (alpha / beta) is -17.96 / -18.87 eV. Its energy relative to the best compared isomer or geometry (same formula, charge and spin) is 0.252 eV.

Last column: Mulliken spin population.
Cartesian coordinates (Å):
C: 0.369 1.673 0.363  0.0178
C: -1.904 -1.844 -1.595  0.0324
C: -0.027 -0.294 -2.158  0.0039
C: 0.334 -2.153 -0.516  0.0093
C: 0.089 -0.948 2.783  0.0563
C: 1.813 3.612 0.377  -0.0022
C: -1.207 -0.228 0.089  0.0626
C: -0.668 -1.131 -1.050  0.0073
N: 0.408 0.161 2.036  1.2385
N: 1.260 2.418 0.915  0.1696
N: -0.115 0.517 0.947  0.2074
H: -0.044 1.946 -0.603  -0.0117
H: -2.317 -2.552 -0.879  -0.0001
H: -2.688 -1.143 -1.876  -0.0014
H: -1.638 -2.410 -2.487  0.0068
H: 0.920 0.139 -1.840  -0.0045
H: 0.184 -0.931 -3.014  0.0002
H: -0.698 0.489 -2.506  -0.0006
H: 0.620 -2.824 -1.322  -0.0007
H: -0.097 -2.767 0.271  0.0015
H: 1.246 -1.681 -0.153  -0.0016
H: -0.028 -0.615 3.827  0.0477
H: 1.004 -1.558 2.868  0.0505
H: -0.748 -1.566 2.456  0.0741
H: 1.433 3.828 -0.622  0.0024
H: 2.905 3.535 0.345  0.0084
H: 1.595 4.458 1.038  0.0095
H: -1.786 -0.825 0.791  0.0063
H: -1.838 0.559 -0.317  0.0098
H: 1.623 2.133 1.833  0.0005

=====

[2]
Computed, not measured: a single C8H19N3O molecule, with wB97M-V/def2-TZVPD.

For the total energy, the calculation gives -555.65623 hartree. The highest occupied orbital energy is -8.34 eV. Its energy relative to the best compared isomer or geometry (same formula, charge and spin) is 1.139 eV.

Last column: Mulliken charge in e.
Cartesian coordinates (Å):
C: 0.921 -1.837 0.372  -0.5259
C: -0.421 -1.980 1.061  -0.3400
C: -2.303 -1.607 -0.507  -0.9062
C: -1.652 -0.454 -1.269  -0.5219
C: -0.638 1.688 -1.088  -0.6973
C: -0.087 2.801 -0.225  -0.8135
C: 1.230 1.344 1.220  -0.4718
C: 2.073 0.268 0.457  -0.4690
H: 1.262 -2.864 0.163  0.3479
H: 0.701 -1.469 -0.672  0.1034
H: -0.766 -0.960 1.428  0.0874
H: -0.261 -2.642 1.945  0.3374
H: -0.810 -2.959 -0.647  0.2873
H: -2.895 -2.221 -1.230  0.3413
H: -2.964 -1.299 0.318  0.3433
H: -0.870 -0.803 -1.999  0.3820
H: -2.426 0.090 -1.847  0.4901
H: -1.499 2.022 -1.672  0.5381
H: 0.094 1.435 -1.868  0.3563
H: -0.802 3.053 0.555  0.3512
H: 0.014 3.715 -0.861  0.4122
H: 1.757 3.287 0.742  0.2319
H: 0.183 1.017 1.413  -0.0193
H: 1.668 1.565 2.203  0.4815
H: 3.150 0.615 0.439  0.3906
H: 1.782 0.197 -0.588  0.1864
H: 2.811 -1.480 1.047  0.2780
N: -1.344 -2.520 0.092  -0.3528
N: 1.221 2.523 0.361  -0.3019
N: 1.912 -1.005 1.073  -0.3389
O: -1.044 0.481 -0.416  -0.1880

=====

[3]
Computed, not measured: 2 unconnected molecules or ions with the total composition C8H19N4O8P2, with wB97M-V/def2-TZVPD.

For the total energy, the calculation gives -1819.71247 hartree. As for the net charge: +1. The highest occupied orbital energy is -12.79 eV. Its energy relative to the best compared isomer or geometry (same formula, charge and spin) is 0.000 eV.

Last column: Mulliken charge in e.
Cartesian coordinates (Å):
C: -3.994 -1.819 1.171  -1.0752
C: -3.071 -2.987 0.761  -0.8577
P: -1.789 -2.523 -0.452  0.1050
C: -0.750 -4.044 -0.484  -0.9860
N: -0.712 -1.449 0.545  0.3347
C: -0.513 -1.046 1.827  0.4555
N: -1.168 -1.557 2.883  -0.0977
P: -1.201 -0.922 4.495  0.7267
O: -2.242 0.069 4.636  -0.5641
O: 0.260 -0.424 4.786  -0.4495
O: -1.362 -2.257 5.341  -0.5375
N: 0.384 -0.059 1.938  -0.5006
C: 0.764 0.188 0.701  0.3857
O: 1.666 1.048 0.288  -0.3989
N: 0.148 -0.608 -0.166  0.0968
O: 0.225 -0.653 -1.508  -0.3870
H: -3.602 -0.850 0.855  0.3315
H: -4.136 -1.772 2.249  0.3276
H: -4.973 -1.927 0.712  0.3355
H: -3.634 -3.733 0.194  0.4576
H: -2.682 -3.552 1.611  0.5602
H: -1.300 -4.883 -0.058  0.3761
H: -0.527 -4.282 -1.522  0.3578
H: 0.184 -3.924 0.064  0.3037
H: -1.874 -2.244 2.683  0.2370
H: 0.836 -1.064 5.220  0.3591
H: -1.179 -3.093 4.903  0.3436